### Job
What is needed: restate the entries underneath verbatim.
### Excerpt
____________
1.
A geometry-optimized Zn3P2O12 structure. Source: the Materials Project, functional PBE.

Values from the calculation:
Formation energy from the elements: -20.84 eV/f.u.

a = 5.1518 Å, b = 10.8633 Å, c = 18.2901 Å
α = 90.00°, β = 90.00°, γ = 90.00°
Element x y z (fractional)
Zn1 0.0351 0.8314 0.2500
Zn2 0.4649 0.3314 0.2500
Zn3 0.9649 0.1686 0.7500
Zn4 0.5351 0.6686 0.7500
Zn5 0.2063 0.6439 0.0047
Zn6 0.2937 0.1439 0.4953
Zn7 0.7937 0.3561 0.5047
Zn8 0.7063 0.8561 0.9953
Zn9 0.7937 0.3561 0.9953
Zn10 0.7063 0.8561 0.5047
Zn11 0.2063 0.6439 0.4953
Zn12 0.2937 0.1439 0.0047
P1 0.2195 0.8963 0.0908
P2 0.2805 0.3963 0.4092
P3 0.7805 0.1037 0.5908
P4 0.7195 0.6037 0.9092
P5 0.7805 0.1037 0.9092
P6 0.7195 0.6037 0.5908
P7 0.2195 0.8963 0.4092
P8 0.2805 0.3963 0.0908
O1 0.3575 0.8069 0.0348
O2 0.1425 0.3069 0.4652
O3 0.6425 0.1931 0.5348
O4 0.8575 0.6931 0.9652
O5 0.6425 0.1931 0.9652
O6 0.8575 0.6931 0.5348
O7 0.3575 0.8069 0.4652
O8 0.1425 0.3069 0.0348
O9 0.3410 0.0247 0.0821
O10 0.1590 0.5247 0.4179
O11 0.6590 0.9753 0.5821
O12 0.8410 0.4753 0.9179
O13 0.6590 0.9753 0.9179
O14 0.8410 0.4753 0.5821
O15 0.3410 0.0247 0.4179
O16 0.1590 0.5247 0.0821
O17 0.2682 0.8447 0.1687
O18 0.2318 0.3447 0.3313
O19 0.7318 0.1553 0.6687
O20 0.7682 0.6553 0.8313
O21 0.7318 0.1553 0.8313
O22 0.7682 0.6553 0.6687
O23 0.2682 0.8447 0.3313
O24 0.2318 0.3447 0.1687
O25 0.9250 0.8958 0.0777
O26 0.5750 0.3958 0.4223
O27 0.0750 0.1042 0.5777
O28 0.4250 0.6042 0.9223
O29 0.0750 0.1042 0.9223
O30 0.4250 0.6042 0.5777
O31 0.9250 0.8958 0.4223
O32 0.5750 0.3958 0.0777
O33 0.7676 0.6672 0.1902
O34 0.7324 0.1672 0.3098
O35 0.2324 0.3328 0.6902
O36 0.2676 0.8328 0.8098
O37 0.2324 0.3328 0.8098
O38 0.2676 0.8328 0.6902
O39 0.7676 0.6672 0.3098
O40 0.7324 0.1672 0.1902
O41 0.6928 0.9008 0.2500
O42 0.8072 0.4008 0.2500
O43 0.3072 0.0992 0.7500
O44 0.1928 0.5992 0.7500
O45 0.6640 0.6271 0.2500
O46 0.8360 0.1271 0.2500
O47 0.3360 0.3729 0.7500
O48 0.1640 0.8729 0.7500


2.
A geometry-optimized CeCuSi2Pd structure. Source: the Materials Project, functional PBE.

Values from the calculation:
Formation energy from the elements: -3.75 eV/f.u.

a = 5.8171 Å, b = 5.8171 Å, c = 5.8171 Å
α = 138.64°, β = 138.64°, γ = 59.93°
Element x y z (fractional)
Ce1 0.0000 0.0000 0.0000
Cu1 0.2500 0.7500 0.5000
Si1 0.6173 0.6173 0.0000
Si2 0.3827 0.3827 0.0000
Pd1 0.7500 0.2500 0.5000


3.
A geometry-optimized Ba4Cl6O structure. Source: the Materials Project, functional PBE.

Values from the calculation:
Formation energy from the elements: -29.24 eV/f.u.
E (MP2020): -4.81 eV/atom
Largest piezoelectric modulus: 0.23 C/m²

a = 10.1275 Å, b = 10.1275 Å, c = 7.6991 Å
α = 90.00°, β = 90.00°, γ = 120.00°
Element x y z (fractional)
Ba1 0.6667 0.3333 0.9303
Ba2 0.3333 0.6667 0.4303
Ba3 0.8044 0.6088 0.4955
Ba4 0.1956 0.8044 0.9955
Ba5 0.6088 0.8044 0.9955
Ba6 0.3912 0.1956 0.4955
Ba7 0.8044 0.1956 0.4955
Ba8 0.1956 0.3912 0.9955
Cl1 0.5313 0.4687 0.2121
Cl2 0.0627 0.5313 0.7121
Cl3 0.4687 0.9373 0.7121
Cl4 0.5313 0.0627 0.2121
Cl5 0.9373 0.4687 0.2121
Cl6 0.4687 0.5313 0.7121
Cl7 0.1455 0.2910 0.3911
Cl8 0.8545 0.1455 0.8911
Cl9 0.2910 0.1455 0.8911
Cl10 0.7090 0.8545 0.3911
Cl11 0.1455 0.8545 0.3911
Cl12 0.8545 0.7090 0.8911
O1 0.6667 0.3333 0.5987
O2 0.3333 0.6667 0.0987


4.
A geometry-optimized Ca2GaSi2O7 structure. Source: the Materials Project, functional PBE.

Values from the calculation:
Formation energy from the elements: -36.24 eV/f.u.
E (MP2020): -7.40 eV/atom

a = 8.0292 Å, b = 8.0292 Å, c = 5.0545 Å
α = 90.00°, β = 90.00°, γ = 90.00°
Element x y z (fractional)
Ca1 0.1662 0.3338 0.5055
Ca2 0.8338 0.6662 0.5055
Ca3 0.6662 0.1662 0.4945
Ca4 0.3338 0.8338 0.4945
Ga1 0.0000 0.0000 0.0000
Ga2 0.5000 0.5000 0.0000
Si1 0.6390 0.8610 0.9388
Si2 0.3610 0.1390 0.9388
Si3 0.1390 0.6390 0.0612
Si4 0.8610 0.3610 0.0612
O1 0.0826 0.8114 0.2192
O2 0.9174 0.1886 0.2192
O3 0.1886 0.0826 0.7808
O4 0.4174 0.3114 0.7808
O5 0.8114 0.9174 0.7808
O6 0.5826 0.6886 0.7808
O7 0.3114 0.5826 0.2192
____________
### Response
1.
A geometry-optimized Zn3P2O12 structure. Source: the Materials Project, functional PBE.

Values from the calculation:
Formation energy from the elements: -20.84 eV/f.u.

a = 5.1518 Å, b = 10.8633 Å, c = 18.2901 Å
α = 90.00°, β = 90.00°, γ = 90.00°
Element x y z (fractional)
Zn1 0.0351 0.8314 0.2500
Zn2 0.4649 0.3314 0.2500
Zn3 0.9649 0.1686 0.7500
Zn4 0.5351 0.6686 0.7500
Zn5 0.2063 0.6439 0.0047
Zn6 0.2937 0.1439 0.4953
Zn7 0.7937 0.3561 0.5047
Zn8 0.7063 0.8561 0.9953
Zn9 0.7937 0.3561 0.9953
Zn10 0.7063 0.8561 0.5047
Zn11 0.2063 0.6439 0.4953
Zn12 0.2937 0.1439 0.0047
P1 0.2195 0.8963 0.0908
P2 0.2805 0.3963 0.4092
P3 0.7805 0.1037 0.5908
P4 0.7195 0.6037 0.9092
P5 0.7805 0.1037 0.9092
P6 0.7195 0.6037 0.5908
P7 0.2195 0.8963 0.4092
P8 0.2805 0.3963 0.0908
O1 0.3575 0.8069 0.0348
O2 0.1425 0.3069 0.4652
O3 0.6425 0.1931 0.5348
O4 0.8575 0.6931 0.9652
O5 0.6425 0.1931 0.9652
O6 0.8575 0.6931 0.5348
O7 0.3575 0.8069 0.4652
O8 0.1425 0.3069 0.0348
O9 0.3410 0.0247 0.0821
O10 0.1590 0.5247 0.4179
O11 0.6590 0.9753 0.5821
O12 0.8410 0.4753 0.9179
O13 0.6590 0.9753 0.9179
O14 0.8410 0.4753 0.5821
O15 0.3410 0.0247 0.4179
O16 0.1590 0.5247 0.0821
O17 0.2682 0.8447 0.1687
O18 0.2318 0.3447 0.3313
O19 0.7318 0.1553 0.6687
O20 0.7682 0.6553 0.8313
O21 0.7318 0.1553 0.8313
O22 0.7682 0.6553 0.6687
O23 0.2682 0.8447 0.3313
O24 0.2318 0.3447 0.1687
O25 0.9250 0.8958 0.0777
O26 0.5750 0.3958 0.4223
O27 0.0750 0.1042 0.5777
O28 0.4250 0.6042 0.9223
O29 0.0750 0.1042 0.9223
O30 0.4250 0.6042 0.5777
O31 0.9250 0.8958 0.4223
O32 0.5750 0.3958 0.0777
O33 0.7676 0.6672 0.1902
O34 0.7324 0.1672 0.3098
O35 0.2324 0.3328 0.6902
O36 0.2676 0.8328 0.8098
O37 0.2324 0.3328 0.8098
O38 0.2676 0.8328 0.6902
O39 0.7676 0.6672 0.3098
O40 0.7324 0.1672 0.1902
O41 0.6928 0.9008 0.2500
O42 0.8072 0.4008 0.2500
O43 0.3072 0.0992 0.7500
O44 0.1928 0.5992 0.7500
O45 0.6640 0.6271 0.2500
O46 0.8360 0.1271 0.2500
O47 0.3360 0.3729 0.7500
O48 0.1640 0.8729 0.7500


2.
A geometry-optimized CeCuSi2Pd structure. Source: the Materials Project, functional PBE.

Values from the calculation:
Formation energy from the elements: -3.75 eV/f.u.

a = 5.8171 Å, b = 5.8171 Å, c = 5.8171 Å
α = 138.64°, β = 138.64°, γ = 59.93°
Element x y z (fractional)
Ce1 0.0000 0.0000 0.0000
Cu1 0.2500 0.7500 0.5000
Si1 0.6173 0.6173 0.0000
Si2 0.3827 0.3827 0.0000
Pd1 0.7500 0.2500 0.5000


3.
A geometry-optimized Ba4Cl6O structure. Source: the Materials Project, functional PBE.

Values from the calculation:
Formation energy from the elements: -29.24 eV/f.u.
E (MP2020): -4.81 eV/atom
Largest piezoelectric modulus: 0.23 C/m²

a = 10.1275 Å, b = 10.1275 Å, c = 7.6991 Å
α = 90.00°, β = 90.00°, γ = 120.00°
Element x y z (fractional)
Ba1 0.6667 0.3333 0.9303
Ba2 0.3333 0.6667 0.4303
Ba3 0.8044 0.6088 0.4955
Ba4 0.1956 0.8044 0.9955
Ba5 0.6088 0.8044 0.9955
Ba6 0.3912 0.1956 0.4955
Ba7 0.8044 0.1956 0.4955
Ba8 0.1956 0.3912 0.9955
Cl1 0.5313 0.4687 0.2121
Cl2 0.0627 0.5313 0.7121
Cl3 0.4687 0.9373 0.7121
Cl4 0.5313 0.0627 0.2121
Cl5 0.9373 0.4687 0.2121
Cl6 0.4687 0.5313 0.7121
Cl7 0.1455 0.2910 0.3911
Cl8 0.8545 0.1455 0.8911
Cl9 0.2910 0.1455 0.8911
Cl10 0.7090 0.8545 0.3911
Cl11 0.1455 0.8545 0.3911
Cl12 0.8545 0.7090 0.8911
O1 0.6667 0.3333 0.5987
O2 0.3333 0.6667 0.0987


4.
A geometry-optimized Ca2GaSi2O7 structure. Source: the Materials Project, functional PBE.

Values from the calculation:
Formation energy from the elements: -36.24 eV/f.u.
E (MP2020): -7.40 eV/atom

a = 8.0292 Å, b = 8.0292 Å, c = 5.0545 Å
α = 90.00°, β = 90.00°, γ = 90.00°
Element x y z (fractional)
Ca1 0.1662 0.3338 0.5055
Ca2 0.8338 0.6662 0.5055
Ca3 0.6662 0.1662 0.4945
Ca4 0.3338 0.8338 0.4945
Ga1 0.0000 0.0000 0.0000
Ga2 0.5000 0.5000 0.0000
Si1 0.6390 0.8610 0.9388
Si2 0.3610 0.1390 0.9388
Si3 0.1390 0.6390 0.0612
Si4 0.8610 0.3610 0.0612
O1 0.0826 0.8114 0.2192
O2 0.9174 0.1886 0.2192
O3 0.1886 0.0826 0.7808
O4 0.4174 0.3114 0.7808
O5 0.8114 0.9174 0.7808
O6 0.5826 0.6886 0.7808
O7 0.3114 0.5826 0.2192